ADS-B Vendors Waiting For Rule
Attached: records of crystals:
********
--- A ---
DFT (PBEsol) results for crystalline LiCSeBr2 at its relaxed geometry. Values from VASP.

Output
The calculated volume is 104.5 Å³ per cell. As for the space group: P4/mmm. The total magnetic moment comes out at 0.44 μB per cell.

```
&SYSTEM
  ibrav = 0, nat = 5, ntyp = 4
/
ATOMIC_SPECIES
Br 79.90 Br.upf
Se 78.96 Se.upf
Li 6.94 Li.upf
C 12.01 C.upf
ATOMIC_POSITIONS angstrom
Br 0.000 2.359 0.000
Se 0.000 0.000 2.346
Li 0.000 0.000 0.000
Br 2.359 0.000 0.000
C 2.359 2.359 2.346
CELL_PARAMETERS angstrom
4.718 0.000 0.000
0.000 4.718 0.000
0.000 0.000 4.693
```


--- B ---
DFT (PBEsol) results for crystalline LiCSeBr2 at its relaxed geometry. Values from VASP.

Output
The calculated volume is 107.1 Å³ per cell. As for the space group: P4/mmm. The total magnetic moment comes out at 0.00 μB per cell.

```
&SYSTEM
  ibrav = 0, nat = 5, ntyp = 4
/
ATOMIC_SPECIES
Li 6.94 Li.upf
Br 79.90 Br.upf
C 12.01 C.upf
Se 78.96 Se.upf
ATOMIC_POSITIONS angstrom
Li 2.002 2.585 2.585
Br 0.000 0.000 2.585
C 0.000 0.000 0.000
Br 0.000 2.585 0.000
Se 2.002 0.000 0.000
CELL_PARAMETERS angstrom
4.004 0.000 0.000
0.000 5.171 0.000
0.000 0.000 5.171
```


Relative energies, kJ/mol of atoms: A 81.9; B 0.0.


--- A ---
DFT (PBEsol) results for crystalline Sb2CBr at its relaxed geometry. Values from VASP.

Output
The calculated volume is 176.2 Å³ per cell. As for the space group: I-42d. The total magnetic moment comes out at 0.00 μB per cell.

```
&SYSTEM
  ibrav = 0, nat = 8, ntyp = 3
/
ATOMIC_SPECIES
C 12.01 C.upf
Sb 121.76 Sb.upf
Br 79.90 Br.upf
ATOMIC_POSITIONS angstrom
C -3.019 1.036 -1.296
Sb -1.140 2.115 2.058
C -0.900 3.822 0.575
Br 0.000 0.000 0.000
Sb -4.390 1.901 0.300
Br -3.120 -0.324 2.431
Sb -1.052 0.289 4.971
Sb -1.459 2.691 -1.318
CELL_PARAMETERS angstrom
-0.799 5.183 -3.152
-5.239 -3.110 0.560
2.018 1.425 5.598
```


--- B ---
DFT (PBEsol) results for crystalline Sb2CBr at its relaxed geometry. Values from VASP.

Output
The calculated volume is 79.5 Å³ per cell. As for the space group: Fm-3m. The total magnetic moment comes out at 0.00 μB per cell.

```
&SYSTEM
  ibrav = 0, nat = 4, ntyp = 3
/
ATOMIC_SPECIES
C 12.01 C.upf
Sb 121.76 Sb.upf
Br 79.90 Br.upf
ATOMIC_POSITIONS angstrom
C 0.000 0.000 0.000
Sb 7.241 4.181 2.956
Br 4.827 2.787 1.971
Sb 2.414 1.394 0.985
CELL_PARAMETERS angstrom
4.827 0.000 0.000
2.414 4.181 0.000
2.414 1.394 3.941
```


Relative energies, kJ/mol of atoms: A 0.0; B 62.5.

* * * * *

No. 1
An optimized crystal structure of TaHgCl2. Source: the Alexandria database, functional PBE.

a b c (Å): 7.0037 7.0037 7.0037
angles (deg): 90.00 90.00 90.00
Space group F-43m (No. 216)
Asymmetric unit:
Ta  0.0000  0.0000  0.0000 (multiplicity 4)
Hg  0.2500  0.2500  0.2500 (multiplicity 4)
Cl  0.0000  0.0000  0.5000 (multiplicity 4)
Cl  0.2500  0.2500  0.7500 (multiplicity 4)

formation energy from raw total energies = 0.69 eV per atom
crystal system = cubic
Fermi-level density of states = 5.97 states/eV/f.u.
********
The records of crystals stop here:
Garmin hosted a session at its seminar tent that was billed as an update to ADS-B. But the truth seems to be there’s not much new to report. A Q&A session after the presentation got down to the more nitty-gritty: ADS-B will be required by 2020 but the details of what compliant equipment will be is not yet certain. Garmin spokesman Gary Keller said that the stumbling block is the lack of Notice for Proposed Rulemaking on the final standards. “For us to commit to building equipment without that … is a risky proposition,” he said. Garmin’s GDL90 is capable of ADS-B right now, but it costs around $7000. Even at that price, Garmin has sold about 1,800 of them but 500 of those were in China. Keller says a lower-priced ADS-B system is certain – once they know what standard is set. Meanwhile, a Texas company is offering an ADS-B add-on that works with Garmin and several other displays. NavWorx of Rowlett, Texas, has built a portable ADS-B system that can display on a Garmin GPSMAP 496 or several other cockpit displays.
Next to the piece, the page also holds materials data:
'''
Entry 1:
Computed, not measured: a relaxed Y4ErTm crystal at the PBE-GGA level of DFT.

Cell: 8.792 8.792 6.211 Å, 96.75 96.75 23.51°
Sites, in units of the cell vectors:
Y 0.166 0.166 0.389
Y 0.334 0.334 0.111
Y 0.666 0.666 0.889
Y 0.834 0.834 0.611
Er 0.000 0.000 0.000
Tm 0.500 0.500 0.500

Computed properties:
Uncorrected energy in eV per atom: -5.81
Total moment in μB/f.u.: 0.0
Energy of formation from the pure elements in eV/atom: 0.0064
Fermi-level density of states in states/eV per atom: 1.42

Entry 2:
Computed, not measured: a relaxed Zr2AlZn crystal at the PBE-GGA level of DFT.

Cell: 5.212 3.048 5.309 Å, 90.00 109.66 90.00°
Sites, in units of the cell vectors:
Zr 0.000 0.000 0.000
Zr 0.000 0.500 0.500
Al 0.500 0.000 0.500
Zn 0.500 0.500 0.000

Computed properties:
Uncorrected energy in eV per atom: -5.64
Total moment in μB/f.u.: 0.0
Energy of formation from the pure elements in eV/atom: -0.1153
Fermi-level density of states in states/eV per atom: 0.58

Entry 3:
Computed, not measured: a relaxed Ge2PPt8 crystal at the PBE-GGA level of DFT.

Cell: 7.212 7.212 6.534 Å, 105.75 105.75 33.51°
Sites, in units of the cell vectors:
Ge 0.145 0.145 0.088
Ge 0.855 0.855 0.912
P 0.500 0.500 0.500
Pt 0.056 0.056 0.356
Pt 0.242 0.242 0.819
Pt 0.320 0.320 0.468
Pt 0.433 0.433 0.128
Pt 0.567 0.567 0.872
Pt 0.680 0.680 0.532
Pt 0.758 0.758 0.181
Pt 0.944 0.944 0.644

Computed properties:
Uncorrected energy in eV per atom: -5.99
Total moment in μB/f.u.: 0.0
Energy of formation from the pure elements in eV/atom: -0.2642
Fermi-level density of states in states/eV per atom: 0.44

Entry 4:
Computed, not measured: a relaxed HgIr3 crystal at the PBE-GGA level of DFT.

Cell: 3.996 3.996 3.996 Å, 90.00 90.00 90.00°
Sites, in units of the cell vectors:
Hg 0.000 0.000 0.000
Ir 0.000 0.500 0.500
Ir 0.500 0.000 0.500
Ir 0.500 0.500 0.000

Computed properties:
Uncorrected energy in eV per atom: -6.15
Total moment in μB/f.u.: 0.0
Energy of formation from the pure elements in eV/atom: 0.5705
Fermi-level density of states in states/eV per atom: 1.34

Entry 5:
Computed, not measured: a relaxed FeB2 crystal at the PBE-GGA level of DFT.

Cell: 3.031 3.031 2.730 Å, 90.00 90.00 120.00°
Sites, in units of the cell vectors:
Fe 0.000 0.000 0.000
B 0.333 0.667 0.500
B 0.667 0.333 0.500

Computed properties:
Uncorrected energy in eV per atom: -7.32
Total moment in μB/f.u.: 0.7
Energy of formation from the pure elements in eV/atom: -0.0499
Fermi-level density of states in states/eV per atom: 0.87

Entry 6:
Computed, not measured: a relaxed Ir2Se crystal at the PBE-GGA level of DFT.

Cell: 15.557 15.557 15.557 Å, 166.84 166.84 18.65°
Sites, in units of the cell vectors:
Ir 0.035 0.785 0.250
Ir 0.108 0.358 0.750
Ir 0.215 0.965 0.250
Ir 0.358 0.108 0.250
Ir 0.642 0.892 0.750
Ir 0.785 0.035 0.750
Ir 0.892 0.642 0.250
Ir 0.965 0.215 0.750
Se 0.301 0.551 0.750
Se 0.449 0.699 0.750
Se 0.551 0.301 0.250
Se 0.699 0.449 0.250

Computed properties:
Uncorrected energy in eV per atom: -6.56
'''
Back to the piece:
Garmin hosted a session at its seminar tent that was billed as an update to ADS-B. But the truth seems to be there's not much new to report. A Q&A session after the presentation got down to the more nitty-gritty: ADS-B will be required by 2020 but the details of what compliant equipment will be is not yet certain. Garmin spokesman Gary Keller said that the stumbling block is the lack of Notice for Proposed Rulemaking on the final standards. "For us to commit to building equipment without that … is a risky proposition," he said. Garmin's GDL90 is capable of ADS-B right now, but it costs around $7000. Even at that price, Garmin has sold about 1,800 of them but 500 of those were in China. Keller says a lower-priced ADS-B system is certain - once they know what standard is set. Meanwhile, a Texas company is offering an ADS-B add-on that works with Garmin and several other displays. NavWorx of Rowlett, Texas, has built a portable ADS-B system that can display on a Garmin GPSMAP 496 or several other cockpit displays.
Attached: records of crystals:
____________
No. 1
Entry from Alexandria via LeMat-Bulk: a geometry-optimized Cd3InRh structure (GGA-PBE).

Calculated volume, Å³/atom: 23.799
ΔE_f, meV per atom: -38.0
DOS at the Fermi energy, states/eV per cell: 3.71
Distance to the lowest polymorph of the same formula, meV per atom: 0
SG: C2/m, No. 12

Cell: 6.9393 6.9393 6.6466 Å, 106.38 116.72 107.42°
Closest atoms and distances in Å follow each position.
Sites, in units of the cell vectors:
Cd 0.8680 0.0729 0.2988  2 Rh 2.69-2.81, 1 Cd 2.94
Cd 0.2259 0.4308 0.2988  2 Rh 2.69-2.81, 1 Cd 2.94
Cd 0.7741 0.5692 0.7012  2 Rh 2.69-2.81, 1 Cd 2.94
Cd 0.7092 0.4442 0.1534  2 Rh 2.70-2.78, 1 In 2.96
Cd 0.1320 0.9271 0.7012  2 Rh 2.69-2.81, 1 Cd 2.94
Cd 0.2908 0.5558 0.8466  2 Rh 2.70-2.78, 1 In 2.96
In 0.7057 0.0801 0.7857  2 Rh 2.63-2.73
In 0.2943 0.9199 0.2143  2 Rh 2.63-2.73
Rh 0.6191 0.7609 0.3800  2 In 2.63-2.73, 6 Cd 2.69-2.81
Rh 0.3809 0.2391 0.6200  2 In 2.63-2.73, 6 Cd 2.69-2.81


No. 2
Entry from Alexandria via LeMat-Bulk: a geometry-optimized CeZn9Cd2 structure (GGA-PBE).

Calculated volume, Å³/atom: 17.483
ΔE_f, meV per atom: -102.5
DOS at the Fermi energy, states/eV per cell: 9.58
Distance to the lowest polymorph of the same formula, meV per atom: 0
SG: R-3m, No. 166

Cell: 5.3562 5.3562 8.9927 Å, 72.67 72.67 60.00°
Closest atoms and distances in Å follow each position.
Sites, in units of the cell vectors:
Ce 0.0000 0.0000 0.0000  18 Zn 3.09-3.44
Zn 0.6668 0.6668 0.9995  6 Zn 2.64-2.67
Zn 0.3332 0.3332 0.0005  6 Zn 2.64-2.67
Zn 0.5000 0.5000 0.5000  6 Zn 2.59
Zn 0.4126 0.4126 0.2559  7 Zn 2.59-2.71
Zn 0.9190 0.4126 0.2559  7 Zn 2.59-2.71
Zn 0.4126 0.9190 0.2559  7 Zn 2.59-2.71
Zn 0.5874 0.5874 0.7441  7 Zn 2.59-2.71
Zn 0.5874 0.0810 0.7441  7 Zn 2.59-2.71
Zn 0.0810 0.5874 0.7441  7 Zn 2.59-2.71
Cd 0.8622 0.8622 0.4133  12 Zn 2.99-3.18
Cd 0.1378 0.1378 0.5867  12 Zn 2.99-3.18


No. 3
Entry from Alexandria via LeMat-Bulk: a geometry-optimized La7Ge2Rh2 structure (GGA-PBE).

Calculated volume, Å³/atom: 28.826
ΔE_f, meV per atom: -614.6
DOS at the Fermi energy, states/eV per cell: 13.00
SG: Imm2, No. 44

Cell: 4.3990 9.1147 9.1147 Å, 64.88 76.04 76.04°
Closest atoms and distances in Å follow each position.
Sites, in units of the cell vectors:
La 0.8185 0.0534 0.3095  1 Rh 2.75, 2 Ge 3.07
La 0.8718 0.4130 0.8433  2 Rh 2.96
La 0.5000 0.0150 0.9850  3 Rh 3.00-3.21
La 0.6093 0.4993 0.2821  3 Rh 3.05-3.34, 1 La 3.22, 2 Ge 3.24
La 0.3907 0.7179 0.5007  3 Rh 3.05-3.34, 1 La 3.22, 2 Ge 3.24
La 0.1815 0.6905 0.9466  1 Rh 2.75, 2 Ge 3.07
La 0.1282 0.1567 0.5870  2 Rh 2.96
Ge 0.7302 0.8488 0.6908  7 La 3.07-3.34
Ge 0.2698 0.3092 0.1512  7 La 3.07-3.34
Rh 0.0000 0.8064 0.1936  4 La 2.75-3.00
Rh 0.5000 0.3437 0.6563  7 La 2.96-3.21


No. 4
Entry from Alexandria via LeMat-Bulk: a geometry-optimized BeW2Cl structure (GGA-PBE).

Calculated volume, Å³/atom: 15.348
Energy relative to the elements, uncorrected, meV per atom: 595.6
DOS at the Fermi energy, states/eV per cell: 1.94
____________
Bill Moffitt, V.P. of Engineering for NavWorx, showed us a unit that receives the ADS-B signal, but doesn't transmit. This lets you see weather and traffic information, but other traffic can't see you. NavWorx will also offer one that both receives and transmits. The system will be available soon for LSAs and experimentals. Certified installations should be available by next year. The kicker is the cost: The receive-only system is $1495 and the bidirectional is $2500.